# To do
Type out the lines underneath from the one with "0.0693 0.4883" to the one with "0.1877 0.5331" exactly.

# Input
~~~
Record 1
A geometry-optimized SrCr2N2 structure, computed with PBE.

Lattice parameters (Å, degrees): 3.3197 3.3197 6.5463 90.00 90.00 120.00
Closest atoms and distances in Å follow each position.
Positions (direct):
Sr 0.0000 0.0000 0.0000  6 N 2.79
Cr 0.3333 0.6667 0.3836  4 N 1.98-2.01
Cr 0.6667 0.3333 0.6164  4 N 1.98-2.01
N 0.3333 0.6667 0.6909  4 Cr 1.98-2.01
N 0.6667 0.3333 0.3091  4 Cr 1.98-2.01

Output
**Space-group type**: P-3m1
**VASP energy**: -7.92 eV per atom
**Formation enthalpy at 0 K**: -531 meV/atom

Record 2
A geometry-optimized Sr3CrN4 structure, computed with PBE.

Lattice parameters (Å, degrees): 9.6262 11.3624 10.2369 90.00 90.00 90.00
Closest atoms and distances in Å follow each position.
Positions (direct):
Sr 0.0289 0.1064 0.1276  5 N 2.51-2.67
Sr 0.0289 0.3936 0.6276  5 N 2.51-2.67
Sr 0.1258 0.6420 0.0276  5 N 2.55-2.72
Sr 0.1258 0.8580 0.5276  5 N 2.55-2.72
Sr 0.2002 0.1152 0.7173  3 N 2.59-2.64
Sr 0.2002 0.3848 0.2173  3 N 2.59-2.64
Sr 0.2998 0.6152 0.7173  3 N 2.59-2.64
Sr 0.2998 0.8848 0.2173  3 N 2.59-2.64
Sr 0.3742 0.1420 0.0276  5 N 2.55-2.72
Sr 0.3742 0.3580 0.5276  5 N 2.55-2.72
Sr 0.4711 0.6064 0.1276  5 N 2.51-2.67
Sr 0.4711 0.8936 0.6276  5 N 2.51-2.67
Sr 0.5289 0.1064 0.3724  5 N 2.51-2.67
Sr 0.5289 0.3936 0.8724  5 N 2.51-2.67
Sr 0.6258 0.6420 0.4724  5 N 2.55-2.72
Sr 0.6258 0.8580 0.9724  5 N 2.55-2.72
Sr 0.7002 0.1152 0.7827  3 N 2.59-2.64
Sr 0.7002 0.3848 0.2827  3 N 2.59-2.64
Sr 0.7998 0.6152 0.7827  3 N 2.59-2.64
Sr 0.7998 0.8848 0.2827  3 N 2.59-2.64
Sr 0.8742 0.1420 0.4724  5 N 2.55-2.72
Sr 0.8742 0.3580 0.9724  5 N 2.55-2.72
Sr 0.9711 0.6064 0.3724  5 N 2.51-2.67
Sr 0.9711 0.8936 0.8724  5 N 2.51-2.67
Cr 0.1965 0.1119 0.4018  4 N 1.74-1.77
Cr 0.1965 0.3881 0.9018  4 N 1.74-1.77
Cr 0.3035 0.6119 0.4018  4 N 1.74-1.77
Cr 0.3035 0.8881 0.9018  4 N 1.74-1.77
Cr 0.6965 0.1119 0.0982  4 N 1.74-1.77
Cr 0.6965 0.3881 0.5982  4 N 1.74-1.77
Cr 0.8035 0.6119 0.0982  4 N 1.74-1.77
Cr 0.8035 0.8881 0.5982  4 N 1.74-1.77
N 0.0693 0.0117 0.3458  1 Cr 1.77
N 0.0693 0.4883 0.8458  1 Cr 1.77
N 0.1207 0.2199 0.4993  1 Cr 1.74
N 0.1207 0.2801 0.9993  1 Cr 1.74
N 0.1877 0.5331 0.5026  1 Cr 1.76
N 0.1877 0.9669 0.0026  1 Cr 1.76
N 0.2132 0.6742 0.2694  1 Cr 1.76
N 0.2132 0.8258 0.7694  1 Cr 1.76
N 0.2868 0.1742 0.2694  1 Cr 1.76
N 0.2868 0.3258 0.7694  1 Cr 1.76
N 0.3123 0.0331 0.5026  1 Cr 1.76
N 0.3123 0.4669 0.0026  1 Cr 1.76
N 0.3793 0.7199 0.4993  1 Cr 1.74
N 0.3793 0.7801 0.9993  1 Cr 1.74
N 0.4307 0.5117 0.3458  1 Cr 1.77
N 0.4307 0.9883 0.8458  1 Cr 1.77
N 0.5693 0.0117 0.1542  1 Cr 1.77
N 0.5693 0.4883 0.6542  1 Cr 1.77
N 0.6207 0.2199 0.0007  1 Cr 1.74
N 0.6207 0.2801 0.5007  1 Cr 1.74
N 0.6877 0.5331 0.9974  1 Cr 1.76
N 0.6877 0.9669 0.4974  1 Cr 1.76
N 0.7132 0.6742 0.2306  1 Cr 1.76
N 0.7132 0.8258 0.7306  1 Cr 1.76
N 0.7868 0.1742 0.2306  1 Cr 1.76
N 0.7868 0.3258 0.7306  1 Cr 1.76
N 0.8123 0.0331 0.9974  1 Cr 1.76
N 0.8123 0.4669 0.4974  1 Cr 1.76
N 0.8793 0.7199 0.0007  1 Cr 1.74
N 0.8793 0.7801 0.5007  1 Cr 1.74
N 0.9307 0.5117 0.1542  1 Cr 1.77
N 0.9307 0.9883 0.6542  1 Cr 1.77

Output
**Space-group type**: Pbca
**VASP energy**: -6.92 eV per atom
**Formation enthalpy at 0 K**: -1093 meV/atom

Record 3
A geometry-optimized Sr3Cr2N4 structure, computed with PBE.

Lattice parameters (Å, degrees): 7.1252 7.1252 5.6044 93.44 93.44 75.08
Closest atoms and distances in Å follow each position.
Positions (direct):
Sr 0.1020 0.8980 0.7500  6 N 2.56-2.80
Sr 0.2473 0.5071 0.4479  5 N 2.60-2.89
Sr 0.4929 0.7527 0.0521  5 N 2.60-2.89
Sr 0.5071 0.2473 0.9479  5 N 2.60-2.89
Sr 0.7527 0.4929 0.5521  5 N 2.60-2.89
Sr 0.8980 0.1020 0.2500  6 N 2.56-2.80
Cr 0.0819 0.3342 0.9224  4 N 1.87-1.97
Cr 0.3342 0.0819 0.4224  4 N 1.87-1.97
Cr 0.6658 0.9181 0.5776  4 N 1.87-1.97
Cr 0.9181 0.6658 0.0776  4 N 1.87-1.97
N 0.1321 0.2250 0.6134  2 Cr 1.87-1.89
N 0.1855 0.5552 0.9764  2 Cr 1.91-1.97
N 0.2250 0.1321 0.1134  2 Cr 1.87-1.89
N 0.4448 0.8145 0.5236  2 Cr 1.91-1.97
N 0.5552 0.1855 0.4764  2 Cr 1.91-1.97
~~~

# Worked solution
N 0.0693 0.4883 0.8458  1 Cr 1.77
N 0.1207 0.2199 0.4993  1 Cr 1.74
N 0.1207 0.2801 0.9993  1 Cr 1.74
N 0.1877 0.5331 0.5026  1 Cr 1.76